
In this election cycle, the incumbent candidates, Sally Feistel and Josh Karl, will compete with Mike Campbell and Samantha Hoffer for their respective positions on the school board. Campbell and Hoffer have had a prominent presence on social media regarding their campaigns. The following information addresses a few of their misleading claims.

"Hey Kaukauna schools, what is illegal in some states is being promoted in our schools in Kaukauna! Let's remove policy 411.1 allowing for boys in girls locker rooms and stop our school board from spending our tax dollars like they did last year..." 

Crystal structures, kept here for reference:
First-principles (PBE-GGA) data for crystalline ScMnW2 at its relaxed geometry, as listed in Alexandria.

```
4
Lattice="2.670 -4.564 0.000 2.670 4.564 0.000 0.000 0.000 2.700" Properties=species:S:1:pos:R:3 pbc="T T T"
Sc 0.000 0.000 0.000
Mn 2.670 0.000 0.000
W 1.335 2.282 1.350
W 1.335 -2.282 1.350
```

Total magnetization (μB per atom): 0.5883
Crystal system: orthorhombic
Energy of formation from the pure elements (kJ/mol of formula units): 153
D(E_F) (states/eV per atom): 1.04
Distance to the lowest polymorph of the same formula (meV/atom): 306.3

~~~~~

A plane-wave DFT calculation with GGA-PBE was carried out for an optimized crystal structure of Cr2WBr.

Cell: 4.9135 4.9135 4.4510 Å, 82.90 82.90 35.54°
Closest atoms and distances in Å follow each position.
Element x y z (fractional)
Cr 0.9837 0.9837 0.0351  2 W 2.43, 1 Br 2.57
Cr 0.2481 0.2481 0.2452  4 Br 2.59-2.78, 3 Cr 2.73-2.76, 3 W 2.73-2.74
Br 0.7564 0.7564 0.7680  5 Cr 2.57-2.78, 1 W 2.84
W 0.5118 0.5118 0.4517  2 Cr 2.43

Computed properties:
Crystal system   monoclinic
M_tot   1.0 Bohr magnetons per cell
Energy relative to the elements, uncorrected   3.4 eV per formula unit
V   15.5 A^3/atom
ΔE to the lowest computed polymorph   433 meV per atom

~~~~~

(1)
{"formula": "RbSeBr3", "functional": "PBE-GGA", "state": "relaxed", "lattice_angstrom": [[10.1049, 0.0000, 0.0000], [0.0000, 7.2835, 0.0000], [-1.1764, 0.0000, 10.9130]], "species": ["Rb", "Rb", "Rb", "Rb", "Se", "Se", "Se", "Se", "Br", "Br", "Br", "Br", "Br", "Br", "Br", "Br", "Br", "Br", "Br", "Br"], "frac_coords": [[0.1053, 0.2494, 0.1298], [0.1053, 0.2506, 0.6298], [0.8947, 0.7494, 0.3702], [0.8947, 0.7506, 0.8702], [0.4667, 0.1216, 0.4251], [0.4667, 0.3784, 0.9251], [0.5333, 0.6216, 0.0749], [0.5333, 0.8784, 0.5749], [0.1052, 0.7348, 0.1424], [0.1052, 0.7652, 0.6424], [0.3107, 0.5761, 0.8023], [0.3107, 0.9239, 0.3023], [0.3200, 0.0946, 0.9042], [0.3200, 0.4054, 0.4042], [0.6800, 0.5946, 0.5958], [0.6800, 0.9054, 0.0958], [0.6893, 0.0761, 0.6977], [0.6893, 0.4239, 0.1977], [0.8948, 0.2348, 0.3576], [0.8948, 0.2652, 0.8576]], "formation_energy_uncorrected_ev_per_atom": -0.72, "energy_ev_per_atom": -2.62, "rho_g_cm3": 3.3}

(2)
{"formula": "YCd2", "functional": "PBE-GGA", "state": "relaxed", "lattice_angstrom": [[-2.3117, 2.3117, 14.0374], [2.3117, -2.3117, 14.0374], [2.3117, 2.3117, -14.0374]], "species": ["Y", "Y", "Y", "Y", "Cd", "Cd", "Cd", "Cd", "Cd", "Cd", "Cd", "Cd"], "frac_coords": [[0.2950, 0.5450, 0.7500], [0.4550, 0.7050, 0.7500], [0.5450, 0.2950, 0.2500], [0.7050, 0.4550, 0.2500], [0.0402, 0.7902, 0.2500], [0.1259, 0.3759, 0.7500], [0.2098, 0.9598, 0.2500], [0.3759, 0.1259, 0.2500], [0.6241, 0.8741, 0.7500], [0.7902, 0.0402, 0.7500], [0.8741, 0.6241, 0.2500], [0.9598, 0.2098, 0.7500]], "energy_ev_per_atom": -3.01, "ef_ev_per_atom": -0.245, "rho_g_cm3": 6.9}

~~~~~

1 | Nd2Dy12Ho5: relaxed, PBE.

Cell: 15.7525 9.2120 8.5196 Å, 90.00 91.04 90.00°
Last column: nearest neighbours and their distance in Å.

- Mike Campbell, Twitter

Mike Campbell post is simply misleading. Policy 411.1 does not promote the idea that boys should be allowed in the girl's locker room or vice versa. Instead the policy actually provides a case-by-case process. to address concerns students may raise regarding the use of locker room facilities. The policy has been designed to respect the privacy concerns of all students. Under no circumstances does this policy allow boys in the girl's locker rooms or encourage students to "pick" what locker room they want to go in of their free will. 

Further, this board policy has been developed, not only to respect the dignity of our students but also to comply with the U.S. Seventh Circuit Court of Appeals decision which ruled that school policies that force students to use only those facilities based on their assigned biological gender at birth violates Title IX non-discrimination requirements. Therefore, if the district followed Mike Campbell's reckless Twitter post, the board would not only find itself in violation of a federal court decision, but would risk Title IX funding. Such a decision would be rash, costly, ill-informed and unlawful.

UPDATE: The U.S. Supreme Court Allows Appeals Court Decision to Stand

"Ensure curriculum transparency." - Samantha Hoffer, Facebook

This sentiment appears to be one of the pillars of Samantha Hoffer's platform, yet a quick Google search into KASD's curriculum policies clearly indicates that this is a topic that hardly needs addressing: 

Curriculum at KASD: 

"Remove politics from the classroom" - Samantha Hoffer, Facebook

What comes next are records of crystals, not part of the text
(1)
Below is a geometry-optimized Pr5Nd2Sn4 structure, with properties calculated at the PBE level.

Values from the calculation:
Calculated total energy in eV per cell: -52.5
Energy of formation in eV per atom: -0.278
Total moment in Bohr magnetons per cell: 0.00

Cell: 13.862 13.862 7.642 Å, 91.70 91.70 14.91°
Fractional positions:
Pr (0.000, 0.000, 0.000)
Pr (0.266, 0.266, 0.775)
Pr (0.363, 0.363, 0.168)
Pr (0.637, 0.637, 0.832)
Pr (0.734, 0.734, 0.225)
Nd (0.410, 0.410, 0.700)
Nd (0.590, 0.590, 0.300)
Sn (0.173, 0.173, 0.505)
Sn (0.470, 0.470, 0.341)
Sn (0.530, 0.530, 0.659)
Sn (0.827, 0.827, 0.495)



(2)
Below is a geometry-optimized LiIn3Pd2Au3 structure, with properties calculated at the PBE level.

Values from the calculation:
Calculated total energy in eV per cell: -33.3
Energy of formation in eV per atom: -0.331
Total moment in Bohr magnetons per cell: 0.00

Cell: 7.877 7.877 3.002 Å, 90.00 90.00 120.00°
Fractional positions:
Li (0.000, 0.000, 0.000)
In (0.000, 0.375, 0.000)
In (0.375, 0.000, 0.000)
In (0.625, 0.625, 0.000)
Pd (0.333, 0.667, 0.500)
Pd (0.667, 0.333, 0.500)
Au (0.000, 0.723, 0.500)
Au (0.277, 0.277, 0.500)
Au (0.723, 0.000, 0.500)



(3)
Below is a geometry-optimized CrNiH3 structure, with properties calculated at the PBE level.

Values from the calculation:
Calculated total energy in eV per cell: -100.2
Total moment in Bohr magnetons per cell: 0.00

Cell: 5.713 5.713 4.371 Å, 95.80 95.80 78.76°
Fractional positions:
Cr (0.161, 0.328, 0.486)
Cr (0.328, 0.161, 0.986)
Cr (0.672, 0.839, 0.014)
Cr (0.839, 0.672, 0.514)
Ni (0.087, 0.913, 0.250)
Ni (0.274, 0.726, 0.750)
Ni (0.726, 0.274, 0.250)
Ni (0.913, 0.087, 0.750)
H (0.019, 0.230, 0.105)
H (0.144, 0.635, 0.390)
H (0.230, 0.019, 0.605)
H (0.336, 0.428, 0.805)
H (0.365, 0.856, 0.110)
H (0.428, 0.336, 0.305)
H (0.572, 0.664, 0.695)
H (0.635, 0.144, 0.890)
H (0.664, 0.572, 0.195)
H (0.770, 0.981, 0.395)
H (0.856, 0.365, 0.610)
H (0.981, 0.770, 0.895)



(4)
Below is a geometry-optimized PaMnAsN structure, with properties calculated at the PBE level.

Values from the calculation:
Uncorrected formation energy in kJ per mole of atoms: -109.17
Calculated total energy in eV per cell: -72.3
Total moment in Bohr magnetons per cell: 4.03

Cell: 3.856 3.856 8.445 Å, 90.00 90.00 90.00°
Fractional positions:
Pa (0.250, 0.250, 0.145)
Pa (0.750, 0.750, 0.855)
Mn (0.250, 0.750, 0.500)
Mn (0.750, 0.250, 0.500)
As (0.250, 0.250, 0.674)
As (0.750, 0.750, 0.326)
N (0.250, 0.750, 0.000)
N (0.750, 0.250, 0.000)

----------

A geometry-optimized Nd5Ho2Er12 structure. Source: Alexandria via LeMat-Bulk, functional PBE.

Cell lengths 6.263, 9.024, 10.900 Å; angles 87.24, 82.25, 87.90 degrees
Fractional positions:
1 Nd 0.000 0.000 0.000
2 Nd 0.122 0.987 0.345
3 Nd 0.274 0.550 0.942
4 Nd 0.726 0.450 0.058
5 Nd 0.878 0.013 0.655
6 Ho 0.456 0.495 0.346
7 Ho 0.544 0.505 0.654
8 Er 0.013 0.342 0.768
9 Er 0.074 0.663 0.549
10 Er 0.183 0.295 0.161
11 Er 0.355 0.857 0.749
12 Er 0.399 0.175 0.556

"Create a political free school zone and not allow political ideologies to dictate our school policies and curriculum" 

- Mike Campbell, Facebook

Both Samantha Hoffer and Mike Campbell claim they want to keep politics out of the classroom. Yet, two years ago Hoffer was the first Kaukauna School Board candidate to ever seek out and accept an endorsement from the Republican party during her first campaign. 

Mike Campbell sought and accepted the same endorsement last year as a write-in candidate.

This year they both have again sought and accepted endorsements from the Republican Party. 

A bit ironic, no?

The image on the left was taken from the Republican Party of Outgamie's Facebook page. It not only shows hypocrisy in the platform on which both Hoffer and Campbell are running, but also a lack of thought. They never explain to what extent they want politics removed from the classroom. A reasonable person will probably conclude that they truly don't want politics removed from the classroom. They just want it to be limited to their politics in the classroom. 

Nonetheless, even if we consider their claims sincere, their goals will prove detrimental to the education of Kaukauna's students. It is undeniable that political parties play a significant role in American history, and that they still have great influence over the actions of our government at all levels. To entirely remove education about political parties from a classroom, specifically high school classrooms, would leave students with an inaccurate view of American history and basic civics. Additionally, we would send out students into our democracy with no idea how they can participate in it. Our students deserve an unbiased education on political parties and the history surrounding them, as well as what they advocate, and how they shape American discourse. This way, students can make educated choices about how they will participate in our American democracy, and whether they will, or will not align themselves with a political party. Our candidates understand that regardless of what party a student may choose-be it Republican, Democrat, independent, etc.- they can all still benefit from discussion and exploration of political parties in a school environment that celebrates a marketplace of ideas. 

"The book this legislator reads from is in our Kaukauna Middle school library. The democrats in the house erupts and won't let him read and continue. Yet they fight for the right to continue to supply this garbage to our children. This is one of the reasons I am running for school board."  - Mike Campbell, Twitter

The first book the legislator quotes is "Gender Queer", an illustrated memoir by Maia Kobabe. A quick search of the district's public catalogs shows that this book is not, in fact, in any KASD library. It does indeed contain graphic imagery, which is why it is not included in any of the collections. 

The second book the legislator quotes, which is far less graphic, is in the middle and high school libraries. Fifth and sixth grade students cannot check out this book unless they have a signed parent permission form. It is important to note that this book ,entitled "Speak" has won the following awards:

The district has developed a comprehensive policy for selecting library materials. This policy is overseen by our district's dedicated library professionals.

As a parent, Mike Campbell, like all Kaukauna parents can ask the library to not allow their students to check out certain books based on their parental judgment. That is a reasonable and necessary policy. What is not reasonable is for Campbell to believe he should be the judge and jury who decides what your child or grandchild can read or not read in the school library based on his own beliefs. He claims that people need to respect his views as a parent, but he does not seem comfortable extending that courtesy to other parents, whose views are also worthy of respect.